Activity:
Print the whole of the block below exactly, please.

File:
'''
VASP calculation (PBE) on an optimized crystal structure of Li2HoAg.

abc: 3.1480 3.1480 31.1073
angles: 90.00 90.00 120.00
Last column: nearest neighbours and their distance in Å.
Space group R-3m (No. 166, hexagonal axes)
Inequivalent atoms, fractional coordinates:
Li (0.0000, 0.0000, 0.0986) (multiplicity 6)  3 Ag 2.79, 1 Ho 3.07
Ho (0.0000, 0.0000, 0.0000) (multiplicity 3)  2 Li 3.07, 6 Ho 3.15
Ag (0.0000, 0.0000, 0.5000) (multiplicity 3)  6 Li 2.79

VASP energy = -2.6846 eV/atom
excess energy over the best structure of this formula in the dataset = 166 meV per atom
energy of formation from the pure elements = 0.130 eV per atom

~~~~~

Density functional theory data (PBE with a Hubbard U) for an optimized crystal structure of PuFePtO6.

Structure (extended XYZ):
```
18
Lattice="-4.087 -2.639 -1.829 4.657 -2.290 0.281 -1.855 -2.772 8.144" Properties=species:S:1:pos:R:3 pbc="T T T"
Pu -1.636 -3.215 0.911
Pu 0.351 -4.485 5.686
Fe 1.279 -3.099 1.614
Fe -2.564 -4.601 4.983
Pt 0.000 0.000 0.000
Pt -0.928 -1.386 4.072
O 0.224 -3.618 0.014
O 1.300 -1.185 1.087
O -2.487 -2.685 4.469
O -2.585 -6.515 5.510
O -0.425 -2.691 2.548
O 2.366 -2.626 3.206
O -4.289 -4.241 5.896
O 1.202 -5.015 2.128
O -3.651 -5.074 3.390
O 3.004 -3.460 0.701
O -0.860 -5.010 4.048
O -1.509 -4.083 6.583
```

Computed properties:
Magnetization: 8.0 μB/cell
Density of states at the Fermi level: 6.59 states/eV/f.u.
SG: P-31c
Calculated density: 9.53 g/cm³
Electronic total energy: -7.5528 eV/atom

~~~~~

P) Y2ScIr after structural relaxation. Source: the Alexandria database, functional PBE-GGA.

Cell: 7.918 4.907 3.809 Å, 90.00 61.24 128.33°
Positions (direct):
Ir: 0.000 0.500 0.500
Sc: 0.500 0.500 0.000
Y: 0.000 0.000 0.000
Y: 0.500 0.000 0.500

Q) Y2ScIr after structural relaxation. Source: the Alexandria database, functional PBE-GGA.

Cell: 9.338 9.338 9.338 Å, 23.35 23.35 23.35°
Positions (direct):
Ir: 0.494 0.494 0.494
Y: 0.224 0.224 0.224
Y: 0.005 0.005 0.005
Sc: 0.776 0.776 0.776

P) comes first in stability; the runner-up is 2.1 kJ/mol of atoms higher.

P) Y2ScIr after structural relaxation. Source: the Alexandria database, functional PBE-GGA.

Cell: 8.557 8.557 6.731 Å, 50.53 50.53 90.00°
Positions (direct):
Y: 0.375 0.299 0.750
Y: 0.049 0.625 0.250
Sc: 0.500 0.500 0.000
Sc: 0.250 0.750 0.500
Ir: 0.750 0.250 0.500
Y: 0.875 0.951 0.750
Ir: 0.000 0.000 0.000
Y: 0.701 0.125 0.250

Q) Y2ScIr after structural relaxation. Source: the Alexandria database, functional PBE-GGA.

Cell: 5.052 5.052 5.052 Å, 60.00 60.00 60.00°
Each line ends with the local moment (μB).
Positions (direct):
Y: 0.250 0.250 0.250  0.06
Sc: 0.000 0.000 0.000  0.20
Ir: 0.500 0.500 0.500  -0.01
Y: 0.750 0.750 0.750  0.06

Q) comes first in stability; the runner-up is 6.7 kJ/mol of atoms higher.

P) Y2ScIr after structural relaxation. Source: the Alexandria database, functional PBE-GGA.

Cell: 3.382 3.377 8.660 Å, 90.00 90.00 90.00°
Positions (direct):
Sc: 0.500 0.500 0.685
Y: 0.500 0.500 0.313
Ir: 0.000 0.000 0.520
Y: 0.000 0.000 0.982

Q) Y2ScIr after structural relaxation. Source: the Alexandria database, functional PBE-GGA.

Cell: 6.080 6.080 5.089 Å, 65.25 65.25 34.93°
Positions (direct):
Ir: 0.250 0.250 0.250
Y: 0.549 0.549 0.451
Y: 0.951 0.951 0.049
Sc: 0.750 0.750 0.750

R) Y2ScIr after structural relaxation. Source: the Alexandria database, functional PBE-GGA.

Cell: 9.335 9.335 9.335 Å, 23.36 23.36 23.36°
Each line ends with the local moment (μB).
Positions (direct):
Y: 0.979 0.979 0.979  0.08
Ir: 0.250 0.250 0.250  0.03
Y: 0.521 0.521 0.521  0.08
Sc: 0.750 0.750 0.750  0.57

S) Y2ScIr after structural relaxation. Source: the Alexandria database, functional PBE-GGA.

Cell: 5.014 5.014 5.014 Å, 60.00 60.00 60.00°
Each line ends with the local moment (μB).
Positions (direct):
Sc: 0.250 0.250 0.250  0.21
Y: 0.000 0.000 0.000  0.22
Ir: 0.500 0.500 0.500  -0.04
Y: 0.750 0.750 0.750  0.10

P) comes first in stability; the runner-up is 1.1 kJ/mol of atoms higher.
'''

Result:
VASP calculation (PBE) on an optimized crystal structure of Li2HoAg.

abc: 3.1480 3.1480 31.1073
angles: 90.00 90.00 120.00
Last column: nearest neighbours and their distance in Å.
Space group R-3m (No. 166, hexagonal axes)
Inequivalent atoms, fractional coordinates:
Li (0.0000, 0.0000, 0.0986) (multiplicity 6)  3 Ag 2.79, 1 Ho 3.07
Ho (0.0000, 0.0000, 0.0000) (multiplicity 3)  2 Li 3.07, 6 Ho 3.15
Ag (0.0000, 0.0000, 0.5000) (multiplicity 3)  6 Li 2.79

VASP energy = -2.6846 eV/atom
excess energy over the best structure of this formula in the dataset = 166 meV per atom
energy of formation from the pure elements = 0.130 eV per atom

~~~~~

Density functional theory data (PBE with a Hubbard U) for an optimized crystal structure of PuFePtO6.

Structure (extended XYZ):
```
18
Lattice="-4.087 -2.639 -1.829 4.657 -2.290 0.281 -1.855 -2.772 8.144" Properties=species:S:1:pos:R:3 pbc="T T T"
Pu -1.636 -3.215 0.911
Pu 0.351 -4.485 5.686
Fe 1.279 -3.099 1.614
Fe -2.564 -4.601 4.983
Pt 0.000 0.000 0.000
Pt -0.928 -1.386 4.072
O 0.224 -3.618 0.014
O 1.300 -1.185 1.087
O -2.487 -2.685 4.469
O -2.585 -6.515 5.510
O -0.425 -2.691 2.548
O 2.366 -2.626 3.206
O -4.289 -4.241 5.896
O 1.202 -5.015 2.128
O -3.651 -5.074 3.390
O 3.004 -3.460 0.701
O -0.860 -5.010 4.048
O -1.509 -4.083 6.583
```

Computed properties:
Magnetization: 8.0 μB/cell
Density of states at the Fermi level: 6.59 states/eV/f.u.
SG: P-31c
Calculated density: 9.53 g/cm³
Electronic total energy: -7.5528 eV/atom

~~~~~

P) Y2ScIr after structural relaxation. Source: the Alexandria database, functional PBE-GGA.

Cell: 7.918 4.907 3.809 Å, 90.00 61.24 128.33°
Positions (direct):
Ir: 0.000 0.500 0.500
Sc: 0.500 0.500 0.000
Y: 0.000 0.000 0.000
Y: 0.500 0.000 0.500

Q) Y2ScIr after structural relaxation. Source: the Alexandria database, functional PBE-GGA.

Cell: 9.338 9.338 9.338 Å, 23.35 23.35 23.35°
Positions (direct):
Ir: 0.494 0.494 0.494
Y: 0.224 0.224 0.224
Y: 0.005 0.005 0.005
Sc: 0.776 0.776 0.776

P) comes first in stability; the runner-up is 2.1 kJ/mol of atoms higher.

P) Y2ScIr after structural relaxation. Source: the Alexandria database, functional PBE-GGA.

Cell: 8.557 8.557 6.731 Å, 50.53 50.53 90.00°
Positions (direct):
Y: 0.375 0.299 0.750
Y: 0.049 0.625 0.250
Sc: 0.500 0.500 0.000
Sc: 0.250 0.750 0.500
Ir: 0.750 0.250 0.500
Y: 0.875 0.951 0.750
Ir: 0.000 0.000 0.000
Y: 0.701 0.125 0.250

Q) Y2ScIr after structural relaxation. Source: the Alexandria database, functional PBE-GGA.

Cell: 5.052 5.052 5.052 Å, 60.00 60.00 60.00°
Each line ends with the local moment (μB).
Positions (direct):
Y: 0.250 0.250 0.250  0.06
Sc: 0.000 0.000 0.000  0.20
Ir: 0.500 0.500 0.500  -0.01
Y: 0.750 0.750 0.750  0.06

Q) comes first in stability; the runner-up is 6.7 kJ/mol of atoms higher.

P) Y2ScIr after structural relaxation. Source: the Alexandria database, functional PBE-GGA.

Cell: 3.382 3.377 8.660 Å, 90.00 90.00 90.00°
Positions (direct):
Sc: 0.500 0.500 0.685
Y: 0.500 0.500 0.313
Ir: 0.000 0.000 0.520
Y: 0.000 0.000 0.982

Q) Y2ScIr after structural relaxation. Source: the Alexandria database, functional PBE-GGA.

Cell: 6.080 6.080 5.089 Å, 65.25 65.25 34.93°
Positions (direct):
Ir: 0.250 0.250 0.250
Y: 0.549 0.549 0.451
Y: 0.951 0.951 0.049
Sc: 0.750 0.750 0.750

R) Y2ScIr after structural relaxation. Source: the Alexandria database, functional PBE-GGA.

Cell: 9.335 9.335 9.335 Å, 23.36 23.36 23.36°
Each line ends with the local moment (μB).
Positions (direct):
Y: 0.979 0.979 0.979  0.08
Ir: 0.250 0.250 0.250  0.03
Y: 0.521 0.521 0.521  0.08
Sc: 0.750 0.750 0.750  0.57

S) Y2ScIr after structural relaxation. Source: the Alexandria database, functional PBE-GGA.

Cell: 5.014 5.014 5.014 Å, 60.00 60.00 60.00°
Each line ends with the local moment (μB).
Positions (direct):
Sc: 0.250 0.250 0.250  0.21
Y: 0.000 0.000 0.000  0.22
Ir: 0.500 0.500 0.500  -0.04
Y: 0.750 0.750 0.750  0.10

P) comes first in stability; the runner-up is 1.1 kJ/mol of atoms higher.